To begin with I would be totally remiss not to give a shout out to my own mother. Mary has a crown of strawberry blonde hair, is an elementary school teacher, person of service, fabulous neighbor, concerned citizen, great friend, trendy, amazing example, and among many other wonderful things my loving mom. She loves her children unconditionally which is especially powerful when she disagrees with their ideas and actions yet loves on just the same. She is self sacrificing and selfless taking upon herself the pains, concerns and suffering of others and delighting in their successes and joys...yet at the same time she does not lose her self and is always growing and improving as a human being. I love my mom. (o:
I think most of us have a soft spot for our mothers. Walking down the aisles of any store one will notice card after card by hallmark and other companies that aim to help us express our feelings toward the women in our lives to whom we owe so much. Humor, sentimental, grandmothers, bathroom, cartoon, diapers, floral, realistic, nature, gift card holders, Peanuts, and various other themes and topics are used to tell Mom "hey thanks" in a way that resonates with their interests, experience and personalities.
However there are moms out there for whom you will not find a card. You will not find a card for those that have longed, prayed & fasted, tried different diets and hormones, put on a good optimistic face yet still cannot conceive. There is no card for those that recently miscarried and a Sunday in May brings no comfort. No card is available for young moms that choose to carry a child nine months and give it up for adoption. A card isn't available for childless, single amazing aunts. There are no cards that quite express what it is like for a lesbian couple comprised of two loving moms but only one has the legal custodial rights of a parent. Cards are not given to "community moms" who make lives better with their light and love despite having any blood relatives. Many mothers have outlived there children or lost relationships through family conflict or cards are sent. To all these women, old and young, happy mother's day. Thank you for all the love and goodness you bring into the world.
I have a favorite Buddhist meditation that draws heavily upon the love we have for and the love we have received from our mothers. It can help develop love and compassion for all. A great mother's day activity. (o: Buddhists believe in reincarnation, the idea that we have all lived before in some form as a living creature (not necessarily human) countless times..of course it is not necessary to believe in for this to be efficacious, just some good ol' empathy and visualization.
A good starting place is to sit comfortably close your eyes picture your own Mother (if you have a positive relationship, or you can use another caring adult/mentor) and her feelings of love and wishes for your happiness. Imagine her distress when learning of your struggles or pains. Really soak in those feelings and think of the feelings you reciprocate back to her. Now you can picture someone else and imagine them at one point being your mother (works even if male, you can visualize as father if easier). Think of the love and gratitude you had for them, for the compassion and concern they once had for you. Really you can picture that they have someone in this life that they have that amazing kindness and concern for. Maybe they are someone's loving mom/dad, someone's beloved child or spouse sharing in the human experience of love, connection and concern. Of course there are many variations of this and I encourage you to try it out to find motherly love for all...All living beings are my mother.
Data records, as found in the file:
+++
Entry 1:
{
  "formula": "C5H10N2O2",
  "method": "ωB97M-V/def2-TZVPD",
  "smiles": "C[N@@+]1(O)C(=[NH2+])CCC1=O",
  "gap_ev": 9.975,
  "total_charge": 2,
  "symbols": ["O", "O", "N", "N", "C", "C", "C", "C", "C", "H", "H", "H", "H", "H", "H", "H", "H", "H", "H"],
  "xyz": [[2.566894, 0.442322, -0.091613], [0.508547, -1.537727, -1.074667], [-2.038879, -0.731643, -0.333598], [0.409614, -0.709073, -0.014578], [0.527286, -1.182694, 1.353920], [-0.643195, 1.393245, -0.822202], [0.396312, 1.777589, 0.207117], [1.381142, 0.647600, 0.036871], [-1.059692, 0.049461, -0.455722], [1.684042, -1.215453, 1.453501], [-1.887130, -1.812531, -0.204947], [-0.037253, 1.911494, 1.209115], [-1.580427, 1.985209, -0.883050], [1.401499, -1.995657, -1.196117], [0.212362, -2.181309, 1.399956], [0.992838, 2.669369, -0.048197], [0.238686, -0.473887, 2.090998], [-3.007345, -0.348502, -0.748692], [-0.065296, 1.312181, -1.878089]],
  "forces_ev_per_angstrom": [[-4.6, 1.1, 0.4], [1.2, -1.9, -0.9], [-2.5, -0.4, -1.9], [-2.6, 4.3, -0.6], [4.0, -0.9, -0.6], [-1.0, 0.3, -2.3], [1.4, 0.6, -0.1], [3.7, -1.6, -0.3], [4.2, -2.7, 1.5], [-1.7, -0.4, 0.2], [-0.6, 2.4, -0.1], [0.4, -0.2, -0.1], [0.9, 0.4, -0.2], [-0.9, 0.9, 0.7], [-1.0, -1.3, 0.6], [-0.6, 0.0, 0.0], [-0.9, 0.5, 0.4], [2.2, -1.4, 1.3], [-1.7, 0.1, 1.9]],
  "mulliken_charge": [-0.331, -0.438, -0.236, 0.078, -0.817, -0.429, -0.597, 0.525, 0.422, 0.410, 0.359, 0.301, 0.473, 0.413, 0.409, 0.342, 0.351, 0.413, 0.350]
}

=====

Entry 2:
{
  "formula": "C5H10N2O2S",
  "method": "ωB97M-V/def2-TZVPD",
  "smiles": "CC/C=[N+](\\[O-])O.CSC#N",
  "gap_ev": 9.066,
  "symbols": ["S", "O", "O", "N", "N", "C", "C", "C", "C", "C", "H", "H", "H", "H", "H", "H", "H", "H", "H", "H"],
  "xyz": [[2.802796, 0.916388, -1.491277], [0.797037, -1.401553, 1.440657], [0.022540, -0.176767, 3.080564], [1.242307, 2.056807, 0.508112], [-0.096362, -0.673304, 1.870355], [-1.078024, -0.286293, 1.182364], [1.757550, 1.467905, -0.325902], [-1.232878, -0.571787, -0.235554], [1.923033, -0.574771, -2.113929], [-2.062150, 0.430509, -1.073069], [-1.997271, 1.383682, -0.756288], [-3.100910, 0.192273, -0.989745], [0.882724, -0.371664, 3.508361], [2.432859, -1.057377, -2.990624], [-1.714976, 0.513864, -2.060698], [-0.116922, -0.506338, -0.561925], [2.105346, -1.338339, -1.398570], [-1.632406, -1.639828, -0.363111], [-1.819830, 0.338880, 1.663543], [0.950442, -0.358946, -2.483661]],
  "forces_ev_per_angstrom": [[0.5, -0.8, -1.4], [1.7, -1.2, -0.2], [-0.3, 1.4, 3.5], [-0.9, 0.5, 1.0], [1.0, -0.6, -1.6], [-3.2, 1.8, 0.2], [0.3, -0.2, -0.2], [2.0, -1.1, -1.6], [1.9, -0.3, -1.2], [0.0, -2.9, 1.1], [0.5, 3.3, 1.7], [-0.7, -0.3, -0.5], [-0.3, -0.4, -1.2], [0.1, 1.2, 0.5], [0.2, -0.6, -1.5], [-1.9, -0.7, 0.0], [-1.0, -0.5, 1.0], [0.8, 1.3, -0.2], [0.3, 0.1, 0.3], [-0.9, 0.1, 0.4]],
  "mulliken_charge": [-0.120, -0.746, -0.497, -0.418, 0.918, -0.847, 0.475, 0.617, -0.812, -1.537, 0.494, 0.398, 0.386, 0.381, 0.373, -0.384, 0.351, 0.330, 0.391, 0.247]
}

=====

Entry 3:
{
+++
Motherly love is prevalent throughout religious belief despite minimal scriptural tales of women and mothers. Of course there are few fabulous stand outs like Eve, Sarah, and Mary. Within the LDS church there is a belief in a Heavenly Father and a Heavenly Mother who look down on us, love us and are concerned with our welfare. This idea really resonates with my heart. God is often portrayed as a strong, loving, jealous, angry, merciful and always male figure. God as mother is powerful and unique. A source of creation and intimate unconditional love. May we all have a wonderful Mother's Day and reach out to that inner divinity inside each us that longs for the happiness and success of others more than our Mothers have done for us.